Anaemias Flashcards
How are the haemoglobinopathies classified?
1) Qualitative abnormalities (“abnormal haemoglobins”, including sickle cell disease) - normal quantities of an abnormal haemoglobin
- amino acid substitutions in the polypeptide chains of the globin gene cause the haem ring to fall out of the haem binding pocket, making the haemoglobin unstable
2) Quantitative abnormalities (thalassaemias) - abnormal quantities of normal Hb
- mutations reduce the rate of production of one or other of the globin chains altering the ratio of alpha to non alpha
What are the haemoglobinopathies?
These are diseases caused by dysfunction of genes encoding the globin chains of haemoglobin.
Normal Hb is comprised of two alpha and two non alpha globin chains. Alpha globin chains are produced throughout life, so severe mutations may cause intrauterine death.
Production of non alpha chains varies with age: faetal haemoglobin (HbF) has two gamma chains, while the predominant adult haemoglobin (HbA) has two beta chains. So disorders affecting the beta chains do not present until after 6 months of age.
What is the pathophysiology of sickle cell disease?
Deoxygenated HbS causes molecules to polymerise to form pseudocrystalline structures called “tactoids”.
These distort the red cell membrane and produce sickle-shaped cells.
Polymerisation reversible when reoxygenation occurs; distortion may become permanent and the red cell irreversibly sickled.
Greater the concentration of HbS the more easily tactoids are formed (this is affected by the presence of other haemoglobins, e.g. HbC or HbF).
Who gets sickle cell disease and what is the relationship to malaria?
Sickle cell disease is autosomal recessive.
Homozygotes only produce abnormal beta chains that make HbS and this results in sickle cell disease.
Heterozygotes produce a mixture of normal and abnormal beta chains that make normal HbA and HbS - this causes asymptomatic sickle trait.
Heterozygote frequency is >20% in tropical Africa. Sickle cell trait carriers are resistant to the lethal effects of falciparum malaria (survival advantage). Homozygote patients are not protected.
How is sickle cell disease diagnosed?
Compensated anaemia - 60-80g/L
Blood film - sickle cells, target cells and hyposplenism (i.e. Howell-Jolly bodies). Reticulocytosis present
Definitive diagnosis by Hb electrophoresis. Shows absence of HbA and predominance of HbS
MCV is usually near normal - if very low think of sickle cell trait
What are the complications of HbSS?
1) Crisis (vaso-occlusive, chest syndrome, sequestration, aplastic)
2) Renal (papillary necrosis, poor concentrating ability, nocturnal eneuresis)
3) Priapism
4) Hepatic disease (gallstones, transfusion hepatitis, liver failure due to infarct)
5) Stroke
6) Leg ulcers
7) Hyposplenism
8) Occular (background retinopathy, proliferative retinopathy, vitreous bleeds)
What is an aplastic crisis?
Infection of adult sicklers with parvovirus B19 causes severe but self limiting red cell aplasia.
Produces very low Hb that can cause heart failure.
Reticulocyte count is low (unlike all other sickle crises)
What is a sequestration crisis?
Thrombosis of venous outflow from an organ causes loss of function and painful enlargement.
Spleen is most common site in children.
Massive splenic enlargement may cause severe anaemia, circulatory collapse and death.
Liver may undergo sequestration in adults with pain due to capsular stretching.
Think of this is Hb drops suddenly in a sickle patient!
What is a vaso-occlusive crisis?
This is a complication of sickle cell disease. Sickling is precipitated by hypoxia, acidosis, dehydration and infection. Irreversibly sickled cells have a shorter lifespan and plug vessels in the microcirculation causes a number of acute syndromes.
Vaso-occlusive crisis:
Plugging of small vessels in the bone produces acute severe bone pain
Affects areas of active marrow: hands and feet in children (dactylitis) or femora, humerus, ribs, pelvis and vertebrae in adults
Systemic response (tachycardia, sweating, fever)
Most common sickle crisis
What is sickle chest syndrome?
May follow from vaso-occlusive crisis.
Most common cause of death in adult sickle disease.
Bone marrow infarction causes fat emoboli to the lungs which cause further sickling and infarction leading to ventilatory failure.
How are sickle cell crises managed?
Vaso-occlusive - rehydration, oxygen, analgesia (opiates) and antibiotics. Transfuse with fully genotyped blood.
Sequestration and aplastic crisis - top up transfusion.
Regular transfusion programme to suppress HbS production and maintain HbS level below 30% may be indicated in patients with recurrent severe complications (e.g. CVA in children or chest syndromes in adults).
Hydroxycarbamide - if recurrent/ severe crises.
Exchange transfusion (simultaneous venesection and transfusion to replace HbS with HbA) if life-threatening crisis or to prepare for surgery.
Why do patients with high levels of HbF have a milder form of disease?
High HbF inhibits polymerisation of HbS and reduces sickling. Patients with sickle cell disease and high HbF have milder clinical course with fewer crises.
What are the thalassaemias?
Inherited impairment of haemoglobin production with partial or complete failure to synthesise a specific type of globin chain (i.e. abnormal amount of normal Hb, cf. sickle cell disease)
Alpha thalassaemia - disruption of one or both alleles on chromosome 16 producing some or no alpha globin genes
Beta thalassaemia - defective production causes disabling point mutations causing no or reduced beta chain production
What is the pathophysiology of thalassaemia?
Beta thalassaemia is the most common type of thalassaemia.
Failure to synthesise beta chains.
Heterozygotes have thalassaemia MINOR - mild anaemia, little or no clinical disability, may be detected when treatment for presumed iron deficiency does not work
Homozygotes have thalassaemia MAJOR - unable to synthesise HbA or produce very little; develop profound hypochromic anaemia after the first 4-6 months
Why do patients with sickle cell disease need vaccination?
Due to splenic infarction, sickle cell patients are functionally asplenic.
All patients with sickle cell should receive prophylaxis with daily folic acid and penicillin V to protect against pneumococcal infection.
They should be vaccinated against pneumococcus and Haemophilus influenzae B and hepatitis B (pneumococcus and Haemophilus are encapsulated bacteria)
What are the diagnostic features of beta thalassaemia major?
Profound hypochromic anaemia
Evidence of severe red cell dysplasia
Absence or gross reduction of the amount of haemoglobin A
Increased levels of HbF
Evidence that both parents have thalassaemia
How is beta thalassaemia major treated?
Erythropoietic failure:
- Allogenic bone marrow transplant from HLA compatible siblings
- Transfusion to maintain Hb >100g/L
- Folic acid 5mg daily
Iron overload:
- Iron therapy forbidden
- Iron chelation therapy
Splenomegaly causing mechanical problems, excessive transfusion needs:
- Splenectomy
What is the pathophysiology of alpha thalassaemia?
Reduced or absent alpha chain synthesis is common in Southeast Asia.
Two alpha gene loci on chromosome 16 and each individual carries four alpha gene alleles:
- If one is deleted - no clinical effect
- If two are deleted - mild hypochromic anaemia
- If three are deleted - patient has haemoglobin H disease
- If all four deleted - hydrops fetalis
HbH is a beta chain tetramer formed from the excess beta chains which are functionally useless. Patient relies on low HbA levels for oxygen transport. Treatment of HbH disease is similar to intermediate severity beta thalassaemia (e.g. folic acid, transfusion etc).
What are the diagnostic features of beta thalassaemia minor?
Mild anaemia
Microcytic hypochromic erythrocytes (not iron deficient)
Some target cells
Punctate basophilia
Raised haemoglobin A2 fraction
Evidence that one parent has thalassaemia
How is haemolytic anaemia classified?
1) Congenital/ Inherited:
- Hb: thalassaemias, sickle cell disease
- Enzyme: G6PD deficiency, pyruvate kinase deficiency
- Membrane: hereditary spherocytosis, hereditary eliptocytosis
2) Acquired:
i) Immune - DCT +ve
- Autoimmune - e.g. warm and cold types
- Alloimmune - antibodies produced by one individual reacts with red cells of another, e.g. transfusion reaction, HDN
- Drugs
ii) Non-immune - DCT -ve
- Red cell fragmentation - heart valves, microangiopathic haemolysis (HUS, TTP, DIC)
- Infections (e.g. Malaria), drugs, burns
What investigations confirm haemolysis is present?
Key investigations:
1) Increased reticulocyte count (also occurs with blood loss and partially treated anaemia)
2) LDH
3) Bilirubin (release of red cell components - increased unconjugated bilirubin)
4) Reduced serum haptoglobins
5) Bone marrow - erythroid hyperplasia
If haemolysis is suspected, how can we determine whether there is an underlying red cell change?
On history:
Onset at an early age or a family history - intrinsic red cell defect
Ethnicity: African Americans (sickle cell), Southern Mediterranean (Thalassaemia), G6PD
In the laboratory:
Blood film - target cells (thalassaemia, sickle cell disease), spherocytes (hereditary spherocytosis, immune haemolysis), fragments (microangiopathic), polychromasia
Direct Coombs test
Hb electrophoresis (at pH 8.6 and 6.8) for thalassaemia and sickle cell disease
G6PD and pyruvate kinase screening tests
Ham’s test/ immunophenotyping
What causes intravascular haemolysis?
During intravascular haemolysis, free Hb is released into plasma that is filtered by the urine as haemoglobinuria (black urine) and haemosiderinuria. A portion is bound to albumin as methemalbuinuria. Haptoglobins are also reduced.
Think “MCP”
M - Microangiopathic haemolytic anaemia (irregularly fragmented cells; maybe helmet cells on blood film seen in up to 25% of patients with DIC)
M - March haemoglobinuria
C - Chronic cold agglutinin disease
C - Cardiac valvular disease
P - Paroxysmal cold haemoglobinuria
P - Paroxysmal nocturnal haemoglobinuria
What happens in extravascular haemolysis?
Usually happens in membrane defects and most cases of haemolytic anaemia.
Haemolysis is extravascular (outside the blood) and takes place in the reticuloendothelial tissues. Avoids free Hb in the plasma.
Why does a leuco-erythroblastic picture appear on the blood film in haemolysis?
Bone marrow compensation for increased red cell breakdown is reticulocytosis. Nucleated red cell precursors may appear in the blood.
Activation of the bone marrow can result in neutrophilia and immature granulocytes appearing in the blood. This is called a leuco-erythroblastic picture.
Compensatory erythroid hyperplasia may give rise to folate deficiency. Blood findings will be complicated by the presence of megaloblastosis (measurement of haemolysis and serum is unreliable in haemolysis as it will be elevated).
What is the structure of the normal red cell membrane?
RBC membrane is a lipid bilayer in close associations with membrane proteins.
Two types of membrane-protein interaction:
1) Membrane-integral proteins such as ion channels (band 3), which interact with each other and also the second group of proteins:
2) Proteins that form the cytoskeleton (alpha and beta spectrin)
Ankyrin is a protein that bridges beta spectrin to band 3. Mutations of the integral proteins usually result in spherocytosis, whilst abnormalities of the cytoskeletal proteins cause eliptocytosis. Gallstones are also frequent and cause episodes of cholecystitis and biliary colic.
What is hereditary spherocytosis? How does it present?
Autosomal dominant (25% of cases have no family history and represent new mutations).
Most commonly caused by deficiency of beta spectrin or ankyrin.
The severity of spontaneous haemolysis varies.
Presents as asymptomatic compensated chronic haemolytic state with spherocytes present on the blood film, a reticulocytosis and mild hyperbilirubinemia. Gallstones are present in 50%.
Occasional cases are associated with more severe haemolysis. This can be due to coincidental polymorphisms in alpha spectrin or co-inheritance of a second defect involving a different protein.
Crises can occur
What crises can occur in hereditary spherocytosis?
1) Haemolytic crises - the severity of haemolysis increases; rare and usually associated with infection
2) Megaloblastic crisis - follows development of folate deficiency; this may occur as a first presentation of the disease in pregnancy
3) Aplastic crisis - in association with erythrovirus infection. Causes common exanthem in children, but if individuals with chronic haemolysis become infected the virus directly invades red cell precursors and temporarily switches off red cell production. Presents with severe anaemia and a low reticulocyte count
How is hereditary spherocytosis investigated?
Patient and other family members should be screened for features of compensated haemolysis. This may be all that is required to confirm the diagnosis.
Hb levels are variable, depending on the degree of compensation. MCHC is increased.
Blood film shows spherocytes but direct Coombs test is negative, excluding immune haemolysis.
Osmotic fragility test show increased sensitivity to lysis in hypotonic solutions (low sensitivity and specificity).
EMA (eosin-5-maleimide) binding test recommended now.
How is hereditary spherocytosis managed?
Folic acid prophylaxis 5mg once weekly given for life.
Consideration for splenectomy which improves life but does not normalise red cell survival. Potential indications include moderate to severe haemolysis with complications (e.g. anaemia, gallstones) - splenectomy is delayed until after age 6 years due to risk of sepsis
For acute, severe haemolytic crises patients need transfusion support. Blood must be cross-matched carefully and transfused slowly as haemolytic transfusion reactions may occur.
What is hereditary elliptocytosis?
Heterogeneous group of disorders that produce an increase in elliptocytic red cells on the blood film and variable degree of haemolysis.
Functional abnormality of one or more anchor proteins in the red cell membrane, e.g. alpha spectrin or protein 4.1.
Inheritance may be autosomal dominant or recessive. Less common than hereditary spherocytosis.
Variable clinical course and depends on degree of membrane dysfunction. Most present as asymptomatic blood film abnormality, but can result in neonatal haemolysis or a chronic compensated haemolytic state. Management of the latter is the same as for hereditary spherocytosis.
What are the red cell enzymopathies?
Mature RBC must produce energy via ATP to maintain a normal internal environment and cell volume whilst protecting itself from oxidative stress presented by oxygen carriage.
Anaerobic glycolysis via the Ebden-Meyerhof pathway generates ATP and the hexose monophosphate shunt produces NADPH and glutathione to protect against oxidative stress.
Impact of functional or quantitative defects in the enzymes in these pathways depends on the importance of the steps affected and the presence of alternative pathways.
Generally, defects in hexose-monophosphate shunt lead to periodic haemolysis induced by oxidative stress, whilst those in the Ebden-Meyerhof pathway results in shortened red cell survival and chronic haemolysis.
What is glucose-6-phosphate dehydrogenase deficiency?
Important enzyme in hexose-monophosphate shunt pathway.
Deficiency results in most common human enzymopathy, affecting 10% of worlds population. Distribution parallels malaria (heterozygotes are protected).
# Materials data, as found in the file
- - -
First-principles (PBE-GGA) data for an optimized crystal structure of CdIn5Pb8, as listed in the Alexandria database.

Summary:
The final energy is -3.092 eV/atom. The value obtained for the total magnetization is 0.0 μB per formula unit. The value obtained for the formation energy is 0.07 eV per atom.

Lattice parameters (Å, degrees): 8.247 8.247 8.247 109.93 109.93 108.56
Sites, in units of the cell vectors:
Cd 0.000 0.000 0.000
In 0.307 0.230 0.703
In 0.396 0.693 0.923
In 0.527 0.604 0.297
In 0.750 0.250 0.500
In 0.770 0.473 0.077
Pb 0.024 0.756 0.596
Pb 0.054 0.355 0.930
Pb 0.160 0.428 0.404
Pb 0.244 0.840 0.268
Pb 0.425 0.124 0.070
Pb 0.572 0.976 0.732
Pb 0.645 0.575 0.700
Pb 0.876 0.946 0.300
- - -
Enzyme has heteromeric structure made of catalytic subunits, encoded by X chromosome. Deficiency affects males and rare homozygotic females, but is carried by females. Carrier heterozygote females are usually only affected in the neonatal period or in the presence of extreme lyonisation producing selective inactivation of one of the X chromosomes.
What are the clinical features of G6PD deficiency?
Acute drug-induced haemolysis
Chronic compensated haemolysis
Infection or acute illness
Neonatal jaundice: maybe a feature of the B- enzymes
Favism, i.e. acute haemolysis after ingestion of the broad beans
What drugs can precipitate haemolysis in G6PD deficiency?
Analgesics: aspirin, phenacetin
Antimalarials: primaquine, quinine, chloroquine, pyrimethamine
Antibiotics: sulphonamides, nitrofurantoin, ciprofloxacin
Misc: quinidine, probenecid, vitamin K, dapsone
What are the laboratory features of G6PD deficiency?
Blood film shows:
Bite cells (red cells with a “bite” of membrane missing)
Blister cells
Irregularly shaped small cells
Polychromasia reflecting the reticulocytosis
Denatured haemoglobin visible as Heinz bodies within the red cell cytoplasm, if stains with a supravital stain such as methyl violet
G6PD level:
Can be indirectly assessed by screening methods which usually depend upon the decreased ability to reduce dyes
Direct assessment of G6PD is made in those with low screen values
Care must be taken close to an acute haemolytic episode because reticulocytes may have higher enzyme levels and give rise to a false normal result
How should the splenectomised patient be managed?
Vaccinate with pneumococcal, Haemophilus type B, meningococcal group C and influenza vaccines at least 2-3 weeks before elective splenectomy. Vaccination should be given after emergency surgery, but may be less effective
Pneumococcal re-immunisation should be given at least 5 yearly and influenza annually
Life long prophylactic penicillin V 500mg BD (erythromycin in penicillin allergic patients)
If septic, resuscitate and give antibiotics with pneumococcus, Haemophilus and meningococcal cover
Increased risk of malaria
Treat animal bites promptly
What is pyruvate kinase deficiency?
Another red cell enzymopathy.
Second most common red cell enzyme defect.
Results in deficiency of ATP production and a chronic haemolytic anaemia. Inherited as autosomal recessive trait.
### Records of crystals that have nothing to do with the article
/*
--- w ---
TaInFeOs: optimized geometry, PBE.

Structure (POSCAR):
```
TaInFeOs
1.0
0.000 3.145 3.145
3.145 0.000 3.145
3.145 3.145 0.000
Os Fe In Ta
1 1 1 1
Cartesian
1.573 1.573 1.573
4.718 4.718 4.718
0.000 0.000 0.000
3.145 3.145 3.145
```

The space group is F-43m. Its crystal system is cubic. As for the magnetization: 0.00 μB/atom.

--- x ---
TaInFeOs: optimized geometry, PBE.

Structure (POSCAR):
```
TaInFeOs
1.0
0.000 3.197 3.197
3.197 0.000 3.197
3.197 3.197 0.000
Ta Fe Os In
1 1 1 1
Cartesian
1.598 1.598 1.598
4.795 4.795 4.795
3.197 3.197 3.197
0.000 0.000 0.000
```

The space group is F-43m. Its crystal system is cubic. As for the magnetization: 0.91 μB/atom.

w wins, 0.354 eV/atom ahead of the next structure.

--- w ---
ScInFePd: optimized geometry, PBE.

Structure (POSCAR):
```
ScInFePd
1.0
-1.834 0.511 4.162
-4.231 1.688 0.445
-3.422 -2.726 1.343
Sc Pd Fe In
1 1 1 1
Cartesian
-4.744 -0.263 2.975
-2.372 -0.132 1.487
-7.115 -0.395 4.462
0.000 0.000 0.000
```

The space group is F-43m. Its crystal system is cubic. As for the magnetization: 0.43 μB/atom.

--- x ---
ScInFePd: optimized geometry, PBE.

Structure (POSCAR):
```
ScInFePd
1.0
0.000 3.236 3.236
3.236 0.000 3.236
3.236 3.236 0.000
Sc Fe Pd In
1 1 1 1
Cartesian
1.618 1.618 1.618
4.854 4.854 4.854
3.236 3.236 3.236
0.000 0.000 0.000
```

The space group is F-43m. Its crystal system is cubic. As for the magnetization: 0.63 μB/atom.

w wins, 0.176 eV/atom ahead of the next structure.

--- w ---
YInFePd: optimized geometry, PBE.

Structure (POSCAR):
```
YInFePd
1.0
0.000 3.359 3.359
3.359 0.000 3.359
3.359 3.359 0.000
In Y Pd Fe
1 1 1 1
Cartesian
0.000 0.000 0.000
1.679 1.679 1.679
3.359 3.359 3.359
5.038 5.038 5.038
```

The space group is F-43m. Its crystal system is cubic. As for the magnetization: 0.67 μB/atom.

--- x ---
YInFePd: optimized geometry, PBE.

Structure (POSCAR):
```
YInFePd
1.0
0.000 3.314 3.314
3.314 0.000 3.314
3.314 3.314 0.000
Pd In Y Fe
1 1 1 1
Cartesian
1.657 1.657 1.657
0.000 0.000 0.000
3.314 3.314 3.314
4.971 4.971 4.971
```

The space group is F-43m. Its crystal system is cubic. As for the magnetization: 0.53 μB/atom.

x wins, 0.167 eV/atom ahead of the next structure.

=====

1.
# CrSe3, optimized geometry, DFT PBE-GGA
# - crystal system = cubic
# - formation energy from raw total energies (meV/atom) = 226
data_CrSe3
_cell_length_a 4.812
_cell_length_b 4.812
_cell_length_c 4.812
_cell_angle_alpha 90.00
_cell_angle_beta 90.00
_cell_angle_gamma 90.00
_symmetry_space_group_name_H-M 'P 1'
_symmetry_Int_Tables_number 1
_symmetry_space_group_name_Hall 'P 1'
loop_
_atom_site_label
_atom_site_fract_x
_atom_site_fract_y
_atom_site_fract_z
Cr1 0.000 0.000 0.000
Se1 0.000 0.000 0.500
Se2 0.000 0.500 0.000
Se3 0.500 0.000 0.000

=====

2.
# YBe2SnN, optimized geometry, DFT PBE-GGA
# - crystal system = tetragonal
# - formation energy from raw total energies (meV/atom) = 415
data_YBe2SnN
_cell_length_a 4.006
_cell_length_b 4.006
_cell_length_c 5.181
*/
Extent of anaemia is variable; blood film shows characteristic “prickle cells: which resemble holly leaves. Enzyme activity 5-20% of normal.
Transfusion support may be needed.
What is pyrimidine 5’ nucleotide deficiency?
Another RBC enzymopathy.
This enzyme catalyses dephosphorylation of nucleoside monophosphate and is important during the degradation of RNA in reticulocytes.
Inherited as autosomal recessive trait and is as common as pyruvate kinase deficiency in Mediterranean, African and Jewish populations.
Accumulation of excess ribonucleoprotein results in coarse basophilic stippling associated with a chronic haemolytic state.
Enzyme is very sensitive to inhibition by lead (this is the reason why basophilic stippling happens in lead poisoning)
What is autoimmune haemolytic anaemia?
Increased red cell destruction due to red cell antibodies.
Antibodies may be IgG or IgM, and rarely IgE or A.
If an antibody avidly fixes complement it will cause intravascular haemolysis, but if complement activation is weak the haemolysis will be extravascular.
Antibody coated RBCs lose membrane to macrophages in the spleen, and hence spherocytes are present in the blood.
What are the different types of AIHA?
The optimum temperature at which the antibody is active (thermal specificity) is used to classify immune haemolysis:
1) Warm antibodies - bind at 37oC; 80% of cases. Majority are IgG and often react against Rhesus antigens
2) Cold antibodies - bind at 4oC but can bind up to 37oC in some cases. Usually IgM and bind complement. Account for 20%